New London, Connecticut
The wood is decked in light green leaf.
The swallow twitters in delight.
The lonely vine sheds joyous tears
Of interwoven dew and light.
Spring weaves a gown of green to clad
The mountain height and wide-spread field.
O when wilt thou, my native land,
In all thy glory stand revealed?
~ Ilia Chavchavadze
(Anthology of Georgian Poetry)

• What comes next are records of crystals, not part of the article:
=====
# 1
Entry from Materials Project: an optimized crystal structure of Li2TiCrO4 (GGA+U).

Properties
SG: No. 1

Unit cell a=5.2299 b=7.9633 c=7.7900 alpha=73.35 beta=105.20 gamma=91.53
Positions (direct):
Li  0.3236  0.3710  0.4350
Li  0.5611  0.8749  0.1882
Li  0.0611  0.8753  0.6877
Li  0.8231  0.3708  0.9355
Li  0.8699  0.2528  0.6257
Li  0.1134  0.7547  0.3773
Li  0.6131  0.7547  0.8775
Li  0.3691  0.2529  0.1261
Ti  0.6859  0.6280  0.5624
Ti  0.9314  0.1235  0.3152
Ti  0.4314  0.1234  0.8152
Ti  0.1857  0.6280  0.0617
Cr  0.4949  0.0019  0.5013
Cr  0.7577  0.4967  0.2485
Cr  0.2575  0.4967  0.7486
Cr  0.9948  0.0021  0.0008
O  0.4008  0.7224  0.6255
O  0.6569  0.2558  0.3622
O  0.1574  0.2554  0.8625
O  0.9016  0.7224  0.1254
O  0.9773  0.5101  0.5040
O  0.2192  0.0119  0.2563
O  0.7193  0.0121  0.7563
O  0.4774  0.5102  0.0042
O  0.8023  0.8791  0.4395
O  0.0504  0.3796  0.1898
O  0.5502  0.3795  0.6902
O  0.3022  0.8791  0.9396
O  0.1940  0.1197  0.5624
O  0.4615  0.6176  0.3065
O  0.9621  0.6183  0.8069
O  0.6937  0.1197  0.0620

***

# 2
Entry from Materials Project: an optimized crystal structure of Li2TiCrO4 (GGA+U).

Properties
SG: No. 12

Unit cell a=5.9658 b=10.3874 c=5.9660 alpha=106.67 beta=118.95 gamma=90.54
Positions (direct):
Li  0.5090  0.9987  0.0024
Li  0.9911  0.5013  0.9976
Li  0.9963  0.9987  0.4898
Li  0.5036  0.5014  0.5100
Li  0.5000  0.9990  0.4991
Li  0.9999  0.5010  0.5010
Li  0.2500  0.7500  0.4999
Li  0.7500  0.2500  0.5001
Ti  0.2500  0.2500  0.0002
Ti  0.7500  0.7500  0.9998
Ti  0.0086  0.9973  0.9886
Ti  0.4914  0.5027  0.0113
Cr  0.7500  0.2500  0.0001
Cr  0.2500  0.2500  0.5001
Cr  0.2501  0.7500  0.0000
Cr  0.7500  0.7500  0.4999
O  0.3697  0.6002  0.2306
O  0.8900  0.1299  0.2400
O  0.6295  0.8643  0.2351
O  0.1189  0.3593  0.2405
O  0.3811  0.1407  0.7597
O  0.8705  0.6357  0.7647
O  0.6100  0.3701  0.7601
O  0.1303  0.8998  0.7694
O  0.3588  0.1311  0.2472
O  0.8555  0.6252  0.2357
O  0.3891  0.6253  0.7700
O  0.8839  0.1311  0.7724
O  0.6161  0.3689  0.2277
O  0.1108  0.8747  0.2301
O  0.6445  0.8747  0.7638
O  0.1412  0.3689  0.7530

***

# 3
Entry from Materials Project: an optimized crystal structure of Li24Ti5Cr7O36 (GGA+U).

Properties
SG: No. 1

Unit cell a=5.0517 b=9.7842 c=13.4109 alpha=97.27 beta=100.75 gamma=94.67
Positions (direct):
Li  0.1712  0.9988  0.8331
Li  0.0510  0.9992  0.6139
Li  0.9989  0.7500  0.2497
Li  0.3332  0.7495  0.9175
Li  0.0500  0.4993  0.1131
Li  0.3749  0.4984  0.7783
Li  0.1710  0.4984  0.3334
Li  0.5062  0.4997  0.9987
Li  0.2905  0.5001  0.5555
Li  0.3330  0.2496  0.4170
Li  0.5008  0.0008  0.4996
Li  0.2834  0.9989  0.0535
Li  0.6160  0.0003  0.7194
Li  0.3808  0.0001  0.2809
Li  0.7120  0.0010  0.9466
Li  0.6647  0.7507  0.5828
Li  0.7091  0.5009  0.4450
Li  0.8352  0.5025  0.6658
Li  0.6152  0.5010  0.2207
Li  0.9517  0.5009  0.8880
Li  0.6636  0.2507  0.0818
Li  0.8353  0.9999  0.1664
Li  0.0002  0.2499  0.7506
Li  0.9515  0.9992  0.3864
Ti  0.1158  0.2553  0.9737
=====

“Summer is coming!” the soft breezes whisper;
“Summer is coming!” the glad birdies sing.
Summer is coming — I hear her quick footsteps;
Take your last look at the beautiful Spring.
~ Dora Read Goodale
(Summer Is Coming)

To be interested in the changing seasons is a happier state of mind than to be hopelessly in love with spring.
~ George Santayana
(Words of Wisdom & Quotable Quotes)

How many Flowers fail in Wood —
Or perish from the Hill —
Without the privilege to know
That they are Beautiful —
How many cast a nameless Pod
Opon the nearest Breeze —
Unconscious of the Scarlet Freight —
It bear to other eyes —
~ Emily Dickinson
(The Poems of Emily Dickinson, #534)

Honor the space between no longer and not yet.
~ Nancy Levin
(Grief Interrupted: A Holistic Guide to Reclaiming Your Joy)

to watch outdoor theater in the summer

Enjoyed this stroll through the Arboretum, Barbara, welcoming the growth and new life. Wonderful plants, quotes, and poetry. I am unfamiliar with hemlock, living on the west coast, and fringe trees — beautiful.
Thank you, Jet. The house where I grew up was surrounded by eastern hemlocks (and other woods) but the woolly adelgid pest has killed off most of them, much to my dismay. Not sure if I’ve ever noticed a lovely fringe tree in these parts before.
Great reminders of that lovely walk! Only two things missing, the sweet fragrance of the fringe bushes and the minor but constant presence of the little gnats.
Wouldn’t it be lovely to be able to share fragrances in blogs? Next time at least one of us must remember the bug repellent!
A totally different season from your Fall post – I like how you pair up the photos with the verse Barbara … it is enjoyable to read and I think “how I wish we were in June again, instead of headed toward Winter.” The dainty dragonfly on the boulder pausing to sunbathe makes me wistful for all the days that it was so hot and humid and I complained about them.
June is a wondeful month — so many flowers blooming yet the heat and humidity and thickets of bugs so prevalent in July and August haven’t arrived yet. Bliss! Our seasonal differences in North America are so striking. And each one, in my mind, has its own appeal, although I have to say, summer is the hardest one for me to appreciate. 🙂
I agree – I am no fan of heat and humidity and I always tell myself when I grumble about it, that you’ll grumble when January and February arrive because it’s too cold. I don’t mind suiting up for Winter; it is the snow and ice I don’t like. The beauty is fading fast here – winds are blowing hard out there now and we’ve had many bouts of rain this week. The leaves are hanging on for dear life. 🙂
We finally got some rain here, but we really needed it. I love bundling up in winter but only as long as I can stay home and don’t have to drive in the snow or ice. Nothing like snuggling under a blanket on the couch with a cup of tea and book, watching snow flurries outside. 🙂 I hope you get to see a few more leaves before the last of them let go.
In the Winter, there is nothing like being on the inside looking out. I got a high efficiency furnace in 2012 so now I worry if it is a blizzard of some kind that the snow will fly sideways or mound up by the furnace pipe and cause a carbon dioxide issue … a few times I have had to get dressed and go outside and check the pipe again. I do like cocooning in Winter and I hope I get a few books read this Winter. If I snuggle under a blanket and get too comfy, I usually nod off. 🙂 We have a beautiful Saturday in store – Sunday is very windy (30 mph winds), cold (30) and light snow predicted but it won’t last. I will make the most of my tomorrow.
Enjoy your Saturday today! 🙂 Do you have a carbon dioxide detector inside? I’d probably be checking my furnace pipe, too, even if I did have a detector. (We have electric heat.) I’m hoping to get some full blue moon pictures this evening. So far we have clear skies…